Thursday, May 31, 2012

Memorial Day on the Cousins blog

A few pictures for Memorial Day, a bit late. Cousin Diana visited her parents’ gravestones at Fort Snelling in Minnesota. Since most of us will most likely never see it in person, I am so grateful that she sent these on to us.

Diana writes in her email:

“The saying on Arnon's stone was suggested by Jim. The saying on Maria’s stone is something that she would tell him at the Nursing home.

This National Cemetery is growing so fast it is staggering as Veterans get older and pass and those from more recent wars also take their place. SOBERING.”

_Unrelated to this text: quantum chemistry results_
~~~
Entry 1:
This record from the OMol25 dataset describes an isolated molecule of C6H11ClS in a non-equilibrium geometry. The level of theory is ωB97M-V/def2-TZVPD.

Each line ends with the natural charge from an NBO analysis.
Positions of all 19 atoms, in Å:
C  2.774  -0.333  0.019  -0.604
C  1.528  0.247  -0.656  -0.452
C  0.260  -0.548  -0.400  -0.126
C  -0.825  -0.075  0.230  -0.072
C  -2.030  -0.981  0.305  -0.535
S  -3.489  -0.153  -0.371  -0.030
C  -0.898  1.214  0.926  -0.370
Cl  -0.933  2.603  -0.292  -0.107
H  3.685  0.312  -0.219  0.212
H  2.967  -1.370  -0.398  0.205
H  2.768  -0.362  1.101  0.208
H  1.696  0.276  -1.755  0.220
H  1.334  1.264  -0.326  0.217
H  0.207  -1.629  -0.702  0.196
H  -2.283  -1.164  1.352  0.224
H  -1.824  -1.984  -0.144  0.229
H  -3.129  -0.017  -1.647  0.126
H  0.005  1.403  1.543  0.231
H  -1.813  1.297  1.433  0.229

Forces on the atoms, in the same order (eV/Å):
1.51 -0.15 -1.27
-0.39 -0.46 0.01
0.12 -0.46 0.13
0.68 -1.90 -0.64
0.39 -0.32 -0.01
-0.68 -0.19 0.25
1.55 1.11 -1.05
-0.07 -0.21 0.43
-1.10 -0.86 0.03
-0.07 1.10 0.66
-0.48 -0.18 0.21
-0.07 0.07 0.60
0.23 0.11 -0.12
0.25 1.21 -0.07
-0.20 0.02 0.00
-0.25 0.95 0.19
0.34 -0.05 -0.11
-0.81 -0.07 -0.23
-0.95 0.27 0.98

Output
SMILES: CC/C=C(/CS)CCl
ΔE to the lowest compared entry with this formula, charge and spin (kcal per mole): 6.3
Max |F| (eV/A): 2.18
DFT total energy (eV): -29757.4383
Highest occupied orbital energy (eV): -9.1
HOMO-LUMO gap (eV): 9.81

Entry 2:
This record from the OMol25 dataset describes a structure of composition C6H11ClSi in a non-equilibrium geometry. The level of theory is ωB97M-V/def2-TZVPD.

Each line ends with the natural charge from an NBO analysis.
Positions of all 19 atoms, in Å:
C  0.366  -1.406  -0.320  -0.303
C  -1.445  -0.449  -1.291  -0.287
C  -0.611  -1.704  -1.463  -0.577
C  0.536  1.566  0.307  -1.088
C  1.811  -1.435  -0.675  -0.681
C  -1.798  0.076  1.716  -1.164
Si  -0.550  0.032  0.368  1.563
Cl  -3.219  -0.810  -1.183  -0.089
H  -0.057  -1.763  -2.438  0.226
H  -1.191  -2.592  -1.277  0.245
H  1.165  1.298  -0.556  0.231
H  0.057  2.543  0.077  0.254
H  1.024  1.570  1.192  0.226
H  2.028  -0.620  -1.303  0.216
H  2.543  -1.312  0.197  0.224
H  2.094  -2.316  -1.354  0.219
H  -1.602  -0.683  2.514  0.255
H  -1.829  0.986  2.331  0.258
H  -2.737  -0.232  1.170  0.273

Forces on the atoms, in the same order (eV/Å):
0.49 -0.85 -0.31
-1.21 -0.39 0.79
1.13 0.73 -0.23
-2.07 -0.34 -3.46
1.19 -1.77 0.87
-0.46 -1.39 1.11
-0.48 1.44 -0.99
0.83 0.33 -0.44
-0.58 -0.14 0.63
-0.29 -0.52 -0.23
0.32 0.49 0.48
0.12 -0.78 0.36
2.04 0.40 2.68
0.31 1.48 -1.00
-1.08 -0.50 -1.07
-0.38 0.84 1.31
-0.15 0.13 -0.80
-0.33 0.10 -0.81
0.60 0.73 1.10

Output
ΔE to the lowest compared entry with this formula, charge and spin (kcal per mole): 90.8
Max |F| (eV/A): 4.04
DFT total energy (eV): -26796.5182
Highest occupied orbital energy (spin up / spin down) (eV): -8.1 / -8.3
HOMO-LUMO gap (spin up / spin down) (eV): 7.75 / 8.04

Entry 3:
~~~

Thank you Diana! June Birthdays will follow later in the month.


  1. Thank you for these photos. Living so far away many of us didn't(and don't) get to say goodbye.It had been years since I saw Uncle Arnon at Aunt Leona &Uncle Neils'. I spoke with him briefly when they were visiting MY SPECIAL AUNTIE DOT.After speaking with both of them, Aunt Maria said "I'll get off now because you two always go on and on with that huggy,kissy stuff."
    Memorial Day was first celebrated in Waterloo, N.Y; as many of you already knew. What an honor for those whom first gave thanks to all of our men and women,giving their lives for Our Country.
    Growing up, our mom and Dad(Phyllis & Bob) taught us about how our lives were 'free' because of them. School taught quite a lot more in the 1950s' and 60s',also.
    From becoming an active-duty,Regular Army Family for over 20 years;I learned so much more about the world and know firsthand how we are protected,having more appreciation for the many Blessings America has. It can never be said too many times. Freedom isn't free!

  2. Thank you Diana! The cemetery looks lovely and I am so grateful to see their gravestones and read the messages!
    Always think of Arnon as my big brother who made us so many playhouses also was a member of several of our family clubs!! {Thats a whole new story!}

  3. .....but to add a little humor to a sobering visit. As I was exiting the Cemetary - I passed where they would have a program with speakers etc later and there covered in a blue tarp was something that made me laugh. Some of you may not know that at 'some' locations they don't really have a 'Tomb of the Unknown Soildier" They have a Replica that is light weight foam type material. How do I know that? Many years ago working for a Congressman - we hosted a Veterans Tribute and we 'borrowed' the tomb. It was my job to drive the tomb back to Ft Snelling in a giant truck with another staff person. Going down the freeway - the lid blew off onto the median and had to stop the truck and chase it down. I am CERTAIN that no one else in this family ever did that - So it is hard not to remember it and smile whenever I see that item. (doubt if its still the same one though)

  4. Just doesn't make sense to me that we can't see them anymore. They're still so full of life in our stories. So glad to see their names here, though.

┌──
[1]
An isolated molecule of C6HFN4OS, computed with wB97M-V/def2-TZVPD.

Atoms and positions in Å:
N -0.4336 1.5767 2.6242
C -0.4591 0.8691 1.7243
C -0.6269 0.0503 0.5618
C -1.9444 -0.0149 -0.0520
N -2.9467 -0.2715 -0.4754
S -0.1974 -1.7060 1.0265
F -1.3349 -1.7846 2.2572
C 0.3026 0.4580 -0.5848
C 0.2329 1.7059 -1.2816
N 0.2975 2.5680 -2.0395
N 0.3914 -0.7255 -1.6169
C 1.3143 -0.5469 -0.7932
O 2.4928 -0.8683 -0.3517
H 2.9116 -1.3101 -0.9989

## Properties
- spin multiplicity = 1
- SMILES = N#CC(C#N)(SF)[C@]1(C#N)N=C1O
- E_HOMO (Eh) = -0.3975
- Kohn-Sham gap (eV) = 9.497
- charge = 0

=====

[2]
A structure of composition C6HO6Pd, computed with wB97M-V/def2-TZVPD.

Atoms and positions in Å:
O -0.0295 1.9962 -4.2192
C 0.0004 1.3208 -3.2989
Pd -0.2149 0.2189 0.1384
C -0.5155 1.0466 1.9197
O -0.7349 1.5733 2.9138
C 0.3276 -1.8076 0.4009
O -0.3251 -2.7218 0.8197
C 1.8861 -0.1428 0.1418
O 2.8076 0.6165 0.0868
C -1.9505 0.1239 -0.7065
O -2.9377 0.0247 -1.2837
H 0.3375 -0.7496 -1.1992
O 2.7094 -2.4419 0.3197
C 1.8094 -1.6277 0.2390

## Properties
- spin multiplicity = 3
- <S²> = 2.036
- E_HOMO (spin up / spin down) (Eh) = -0.4829 / -0.5672
- Kohn-Sham gap (spin up / spin down) (eV) = 6.373 / 6.850
- charge = +1

=====

[3]
A structure of composition C70H103HfI2N2O4S2Sb3Si4, computed with wB97M-V/def2-TZVPD.

Atoms and positions in Å:
Hf -1.5072 0.8277 -0.2192
C -4.9145 1.1940 -3.9393
Sb -2.9851 0.5728 -3.1907
C -3.5556 0.9817 -1.0684
C -4.1313 2.3592 -0.7830
C -4.2573 3.3911 -1.7207
C -4.9255 4.5587 -1.4014
C -5.4967 4.6967 -0.1490
C -5.2921 3.6680 0.7473
N -4.6189 2.5529 0.4474
Si -4.9366 -0.2992 -0.5953
C -5.4826 -0.1861 1.1907
C -4.3820 -2.0098 -1.1062
C -6.5645 -0.0599 -1.4926
C -1.6460 2.2292 -3.8762
C -1.1725 3.1256 -2.7759
C -0.6938 4.4040 -3.1093
C -0.2997 5.3148 -2.1602
C -0.4106 4.9694 -0.8203
C -0.8260 3.7038 -0.5360
N -1.1617 2.7629 -1.4636
Si -2.3747 3.1730 -5.3979
C -3.2662 1.9777 -6.5460
C -3.5334 4.5317 -4.8281
C -1.0634 3.9916 -6.4686
Si -0.0735 1.2764 -4.5634
C 1.4237 2.3780 -4.5435
C -0.4517 0.5639 -6.2490
C 0.3025 -0.2440 -3.5412
H -5.3571 0.3349 -4.4432
H -4.8224 2.0079 -4.6502
H -5.5480 1.4909 -3.1119
H -3.8486 3.2726 -2.7125
H -5.0137 5.3540 -2.1355
H -6.0617 5.5795 0.1253
H -5.6629 3.7256 1.7690
H -6.3208 0.5165 1.2475
H -4.7294 0.1656 1.8949
H -5.8496 -1.1637 1.5215
H -3.5122 -2.3771 -0.5665
H -4.1728 -2.0530 -2.1781
H -5.2091 -2.7083 -0.9219
H -6.9059 0.9822 -1.4622
H -7.3074 -0.6564 -0.9519
H -6.5651 -0.3979 -2.5323
H -0.6366 4.6682 -4.1567
H 0.0809 6.2890 -2.4508
H -0.1536 5.6550 -0.0247
H -0.9224 3.4170 0.4951
H -3.3965 0.9715 -6.1385
H -2.7106 1.8813 -7.4834
H -4.2599 2.3614 -6.8067
H -4.5623 4.1825 -4.6888
H -3.5626 5.3103 -5.5986
H -3.2052 5.0090 -3.9002
H -0.1302 3.4250 -6.5366
H -0.8155 5.0093 -6.1461
H -1.4663 4.0769 -7.4840
H 1.9318 2.3159 -3.5717
H 2.1224 2.0187 -5.3092
H 1.2101 3.4289 -4.7572
H -0.5587 1.3150 -7.0388
H -1.3678 -0.0364 -6.2264
H 0.3752 -0.0976 -6.5383
H 1.3886 -0.3941 -3.5102
└──

  5. Diana, thank you for taking the pictures and posting them so that we can all pay our respects to your amazing parents. They were so great. My daughters, when they were teens, looked forward to seeing Maria at the reunions. She connected with them real well. I cannot think of Arnon without thinking of lemon pies. drool. . .

    One of the things I love about this blog is that it helps keep the family in touch with each other. We can 'see' how Beth is in Japan. We can 'see' Arnon anad Maria's graves at Ft. Snelling in Minnesota. I really appreciate this blogsite.
    Pat, Thank you, once again, for this blogsite and all your diligent work on it. I love you lots.
